Group to ERC: Suspend rules on plant outages


The Philippine Independent Power Producers Association (PIPPA) is asking the Energy Regulatory Commission (ERC) to suspend the implementation of plant outage rules and repeal the sanctions imposed on alleged violators.

PIPPA President Anne Montelibano said the group’s petition is pending with the commission, which promulgated the “Rules for the Interim Reliability Performance Indices and Equivalent Outage Days Per Year of Generating Units” in 2020.

These rules specify the planned and unplanned outage allowances in days per year. For instance, pulverized coal plants are allowed to have 27.9 days of planned outages and 16.8 days of unplanned outages while circulating fluidized bed (CFB) coal  plants have 15.4 days of planned and 16.9 days of unplanned outages.

Combined cycle plants, as per ERC, are allowed to go on scheduled maintenance for 12.5 days and 7.7 days of unplanned shutdown while gas turbine plants are allowed 6.5 days of planned maintenance and 22.7 days of unscheduled outage.

For diesel plants, the ERC allowed five days of planned outage and 22 days for unplanned outage. Oil fired thermal plants have 30.8 days of planned and 27.8 days of unplanned.

For renewables, geothermal plants have six days of planned and 13.7 days of unplanned; hydroelectric with 23.1 days scheduled and 6.8 days of unscheduled; and biomass plants with 32.7 days planned and seven days unplanned.

Since the rules were issued, the ERC has found many power generators liable for having incurred unplanned outages more than the days allowed by the commission.

In 2021, the ERC probed 17 generation companies (gencos) that breached the maximum allowable unplanned outage. Of the 17 gencos, six were penalized. The ERC has also imposed a total of P15.5 million in penalty on erring gencos that were found to have breached the maximum allowable unplanned outage days for the year.

PIPPA argued the interim outage rules should only be recommendatory and that outages due to major maintenance and overhauls should not be counted against prescribed outage allowance.

“The prescribed unplanned outage allowance must be amended to reflect accurate data and likewise be renamed to forced outage,” PIPPA said. To reflect accurate data, PIPPA proposed that the allowable forced outage should be based on “the calculated mean and standard deviation from the forced outage data” of its member generators from 2014 to 2022.

PIPPA also said the scope of interim outage rules should be amended “to clearly exclude variable renewable energy, such as run-of-river.”

For non-compliant gencos, PIPPA suggested that they be provided a reasonable time to comply with the joint requirement of compliance and explanation.

PIPPA’s petition is for the ERC “to suspend the implementation of the Interim Reliability Performance Indices and Equivalent Outage Days Per Year of Generating Units until the resolution of this petition for rules change or at the very least, until end of 2023.”

**Misplaced calculated molecules**
____________
(1)
This record from OMol25 describes one molecule with the formula CH3IOS2. The level of theory is the ωB97M-V functional and the def2-TZVPD basis.

XYZ file:
```
8
Properties=species:S:1:pos:R:3:mulliken_charge:R:1
C -0.0682 0.7615 0.1172 -0.845
O 2.0975 -1.0601 0.6208 -0.420
S -0.3216 -0.6668 -0.9842 -0.069
S 1.3282 -1.8399 -0.3563 0.396
I -3.1559 -0.3955 -0.6340 -0.104
H 0.1785 0.2839 1.0195 0.373
H -0.8774 1.5378 0.3961 0.339
H 0.8189 1.3792 -0.1791 0.331
```

Output
Total energy in a.u.: -1209.13758
Lowest unoccupied orbital energy (spin up / spin down) in eV: -2.49 / -1.66

=====

(2)
This record from OMol25 describes a 7-piece molecular cluster, C5H24N2O7 overall. The level of theory is the ωB97M-V functional and the def2-TZVPD basis.

XYZ file:
```
38
Properties=species:S:1:pos:R:3:mulliken_charge:R:1
N 1.5990 -0.0819 2.2640 -0.433
C 0.2548 0.1353 1.7845 -0.029
C -0.5527 1.1375 2.1626 -0.213
C -1.7763 1.6140 1.3802 -0.798
C -2.3831 0.5032 0.4590 0.273
N -3.7971 0.1978 0.4186 -0.660
C -1.8918 0.9413 -1.0350 -0.347
O -2.6885 0.2123 -1.9443 -0.531
H 1.6721 -1.0066 2.6696 0.251
H 1.7617 0.6195 2.9792 0.203
H -0.0105 -0.6810 1.1214 -0.025
H -0.2745 1.8003 2.9875 0.262
H -2.4966 2.0697 2.0715 0.357
H -1.5116 2.4630 0.7432 0.290
H -1.7944 -0.3775 0.6393 0.259
H -4.3565 0.6733 -0.2743 0.211
H -4.3090 0.2995 1.2844 0.216
H -0.8713 0.5199 -0.9968 -0.068
H -1.8982 2.0104 -1.1043 0.509
H -2.4690 0.5360 -2.8208 0.327
O 3.4465 -2.0359 -0.8599 -0.669
H 3.4182 -2.5915 -1.6486 0.306
H 2.8013 -2.4506 -0.2657 0.366
O 1.6051 -0.4322 -2.4623 -0.716
H 2.1273 -1.2433 -2.2973 0.271
H 1.9088 0.0030 -1.6220 0.538
O 0.4947 3.0805 -2.6134 -0.631
H 0.6049 3.0440 -1.6705 0.299
H 0.6098 2.2313 -3.0672 0.321
O 1.5881 -3.2413 1.9281 -0.649
H 0.7445 -2.7618 2.0110 0.309
H 1.4164 -3.8800 1.2395 0.303
O 2.4818 0.9604 -0.2888 -0.737
H 1.8723 1.1832 0.4255 0.359
H 2.9515 0.1676 0.0029 0.347
O 0.0068 -2.0519 -0.8444 -0.597
H 0.3943 -1.2555 -1.2702 0.226
H -0.6788 -2.3120 -1.4864 0.300
```

Output
Total energy in a.u.: -841.03791
Lowest unoccupied orbital energy in eV: 0.24

=====

Number 1: maximum force 0.0459 Eh/bohr. Number 2: maximum force 0.0748 Eh/bohr.

----------

1.
____________

It also asked the ERC “to adopt a revised interim reliability performance index with a clearer and more defined mandate.”

For gencos that allegedly violated the said rules, PIPPA wants the ERC “to rescind any previously issued show cause orders,” and “rescind any penalty imposed for violation of the interim rules until the ERC decides on this petition to initiate rule-making.”

Between two parts of the article: quantum chemistry results.
+++
Density functional theory data (the ωB97M-V functional and the def2-TZVPD basis) for a molecular structure, C25H28F5HfO2S in a non-equilibrium geometry.

CARTESIAN COORDINATES (ANGSTROEM)
1 O -3.369 1.053 -0.305
2 C -4.428 0.076 -0.777
3 C -5.435 1.134 -1.194
4 H -4.774 -0.547 0.057
5 H -4.065 -0.566 -1.587
6 C -4.335 2.104 -0.684
7 H -6.348 1.125 -0.609
8 H -5.615 1.198 -2.269
9 C -4.838 2.938 0.497
10 H -5.333 2.295 1.241
11 H -5.565 3.683 0.139
12 H -3.996 3.489 0.957
13 C -3.788 3.008 -1.769
14 H -3.510 2.462 -2.679
15 H -2.927 3.595 -1.398
16 H -4.567 3.730 -2.059
17 Hf 1.239 0.322 0.302
18 C 3.528 1.035 -0.229
19 C 3.423 -0.390 -0.369
20 C 2.693 -0.672 -1.552
21 H 4.007 -1.094 0.203
22 C 2.342 0.567 -2.170
23 C 2.854 1.619 -1.345
24 H 2.846 2.671 -1.608
25 H 4.255 1.494 0.447
26 H 2.540 -1.655 -1.978
27 H 1.878 0.676 -3.167
28 C 2.013 1.661 2.130
29 C 1.518 2.608 1.169
30 C 0.095 2.425 1.038
31 H 2.096 3.430 0.729
32 C -0.280 1.277 1.834
33 C 0.897 0.836 2.552
34 H 0.914 0.126 3.381
35 H 2.994 1.681 2.621
36 H -0.604 3.123 0.556
37 H -1.295 0.885 1.958
38 O -0.525 -1.122 -0.535
39 C -0.956 -0.176 -1.586
40 C -1.681 -0.998 -2.662
41 H -0.084 0.335 -2.042
42 H -1.628 0.577 -1.132
43 C -1.999 -2.344 -1.946
44 H -0.988 -1.218 -3.470
45 H -2.484 -0.378 -3.111
46 C -1.425 -2.273 -0.530
47 H -1.532 -3.184 -2.489
48 H -3.068 -2.573 -1.882
49 H -0.850 -3.152 -0.199
50 H -2.208 -2.047 0.209
51 F 6.776 -4.153 2.958
52 C 5.627 -3.520 2.620
53 C 4.953 -3.871 1.445
54 F 5.499 -4.744 0.574
55 C 3.724 -3.297 1.160
56 F 3.100 -3.625 0.000
57 C 3.140 -2.326 1.982
58 S 1.527 -1.766 1.535
59 C 3.865 -1.907 3.111
60 F 3.413 -0.859 3.851
61 C 5.064 -2.537 3.453
62 F 5.682 -2.246 4.622

Computed properties:
* ΔE to the lowest compared entry with this formula, charge and spin: 0.6257 eV
* net charge: +1
* LUMO level: -3.54 eV
* 2S+1: 1

***

Density functional theory data (the ωB97M-V functional and the def2-TZVPD basis) for a molecular structure, C25H28FeN in a non-equilibrium geometry.

CARTESIAN COORDINATES (ANGSTROEM)
1 C -2.557 4.038 0.990
2 C -3.060 2.768 1.677
3 C -1.893 1.751 1.663
4 N -0.774 2.427 0.935
5 C 0.485 1.913 0.830
6 C 0.788 0.489 0.641
7 C 2.278 0.329 0.800
8 C 2.795 1.714 0.751
9 C 1.749 2.658 0.774
10 C 2.009 4.039 1.055
11 C 3.378 4.480 0.984
12 C 4.426 3.574 0.839
13 C 4.163 2.166 0.785
14 C -1.032 3.917 0.855
15 H -3.009 4.120 0.000
16 H -2.827 4.933 1.553
17 H -3.364 2.973 2.710
18 H -3.930 2.352 1.163
19 H -1.625 1.515 2.714
20 H -2.175 0.788 1.199
21 H 0.152 -0.174 1.255
22 H 2.445 -0.110 1.819
23 H 2.829 -0.355 0.074
24 H 1.203 4.760 1.295
25 H 3.548 5.568 1.012
26 H 5.461 3.959 0.727
27 H 4.974 1.464 0.721
28 H -0.657 4.376 -0.086
29 H -0.618 4.469 1.740
30 C 0.831 -0.210 -1.947
31 C 0.465 -0.867 -0.664
32 C 0.627 -2.343 -0.564
33 C 0.191 -3.228 0.576
34 C 0.373 -4.605 0.167
35 C 0.870 -4.617 -1.214
36 C 1.000 -3.247 -1.661
37 Fe -0.839 -3.623 -1.032
38 C -2.046 -2.787 -2.407
39 C -2.607 -2.611 -1.073
40 C -2.744 -3.921 -0.464
+++

The group proposed the following allowable forced outage days: 95.9 for pulverized coal, 61.5 for CFB, 47.93 for gas, 72.6 for diesel, 138.8 for geothermal, 29.3 for hydro, and 33.1 for pump-hydro storage.